Next, duplicate the whole of the entries further below verbatim.
/*
No. 1
A relaxed structure of Li12Ge7, computed with PBE-GGA.

Computed properties:
space group: Pnma
energy: -3.229 eV/atom
theoretical density: 3.0 g/cm3
formation energy from the elements: -320 meV per atom
total magnetic moment: 0.000 μB/atom

abc: 8.8076 14.6537 20.1294
angles: 90.00 90.00 90.00
Closest atoms and distances in Å follow each position.
Positions (direct):
Li (0.3632, 0.0224, 0.3278)  3 Ge 2.67-2.89, 4 Li 2.86-2.99
Li (0.8681, 0.0679, 0.0046)  5 Ge 2.74-2.85, 5 Li 2.80-3.06
Li (0.6612, 0.0055, 0.3869)  3 Ge 2.64-2.80, 3 Li 2.65-2.89
Li (0.6376, 0.3392, 0.1883)  3 Li 2.48-2.70, 1 Ge 2.67
Li (0.6142, 0.3697, 0.7500)  5 Ge 2.73-2.95, 5 Li 2.92-2.98
Li (0.6368, 0.9776, 0.6722)  3 Ge 2.67-2.89, 4 Li 2.86-2.99
Li (0.1376, 0.1608, 0.1883)  3 Li 2.48-2.70, 1 Ge 2.67
Li (0.0084, 0.0262, 0.3744)  3 Li 2.60-2.80, 4 Ge 2.66-2.87
Li (0.6214, 0.8407, 0.1650)  4 Ge 2.63-2.92, 2 Li 2.65-2.92
Li (0.1319, 0.9321, 0.5046)  5 Ge 2.74-2.85, 5 Li 2.80-3.06
Li (0.8706, 0.2361, 0.1127)  5 Ge 2.68-2.89, 3 Li 2.92-2.97
Li (0.8890, 0.6559, 0.6867)  3 Li 2.55-2.70, 2 Ge 2.69-2.79
Li (0.8624, 0.8392, 0.6883)  3 Li 2.48-2.70, 1 Ge 2.67
Li (0.1110, 0.3441, 0.1867)  3 Li 2.55-2.70, 2 Ge 2.69-2.79
Li (0.3681, 0.4321, 0.4954)  5 Ge 2.74-2.85, 5 Li 2.80-3.06
Li (0.3388, 0.9945, 0.6131)  3 Ge 2.64-2.80, 3 Li 2.65-2.89
Li (0.6294, 0.7361, 0.6127)  5 Ge 2.68-2.89, 3 Li 2.92-2.97
Li (0.1376, 0.1608, 0.3117)  3 Li 2.48-2.70, 1 Ge 2.67
Li (0.6294, 0.9330, 0.9727)  5 Ge 2.65-2.89, 2 Li 2.83-2.96
Li (0.8738, 0.1403, 0.6461)  5 Li 2.68-2.98, 5 Ge 2.73-2.87
Li (0.8721, 0.2573, 0.5314)  5 Li 2.83-2.96, 8 Ge 2.93-3.12
Li (0.3738, 0.3597, 0.6461)  5 Li 2.68-2.98, 5 Ge 2.73-2.87
Li (0.8706, 0.4330, 0.4727)  5 Ge 2.65-2.89, 2 Li 2.83-2.96
Li (0.1368, 0.5224, 0.8278)  3 Ge 2.67-2.89, 4 Li 2.86-2.99
Li (0.3632, 0.0224, 0.1722)  3 Ge 2.67-2.89, 4 Li 2.86-2.99
Li (0.8624, 0.8392, 0.8117)  3 Li 2.48-2.70, 1 Ge 2.67
Li (0.3706, 0.0670, 0.0273)  5 Ge 2.65-2.89, 2 Li 2.83-2.96
Li (0.3858, 0.6303, 0.2500)  5 Ge 2.73-2.95, 5 Li 2.92-2.98
Li (0.8632, 0.4776, 0.3278)  3 Ge 2.67-2.89, 4 Li 2.86-2.99
Li (0.1319, 0.9321, 0.9954)  5 Ge 2.74-2.85, 5 Li 2.80-3.06
Li (0.8890, 0.6559, 0.8133)  3 Li 2.55-2.70, 2 Ge 2.69-2.79
Li (0.3624, 0.6608, 0.8117)  3 Li 2.48-2.70, 1 Ge 2.67
Li (0.8858, 0.8697, 0.2500)  5 Ge 2.73-2.95, 5 Li 2.92-2.98
Li (0.6110, 0.1559, 0.1867)  3 Li 2.55-2.70, 2 Ge 2.69-2.79
Li (0.3721, 0.2427, 0.5314)  5 Li 2.83-2.96, 8 Ge 2.93-3.12
Li (0.6615, 0.1687, 0.7500)  2 Ge 2.62, 2 Li 2.84
Li (0.1368, 0.5224, 0.6722)  3 Ge 2.67-2.89, 4 Li 2.86-2.99
Li (0.3706, 0.0670, 0.4727)  5 Ge 2.65-2.89, 2 Li 2.83-2.96
Li (0.6262, 0.6403, 0.3539)  5 Li 2.68-2.98, 5 Ge 2.73-2.87
Li (0.8706, 0.2361, 0.3873)  5 Ge 2.68-2.89, 3 Li 2.92-2.97
Li (0.8385, 0.6687, 0.2500)  2 Ge 2.62, 2 Li 2.84
Li (0.1262, 0.8597, 0.1461)  5 Li 2.68-2.98, 5 Ge 2.73-2.87
Li (0.3624, 0.6608, 0.6883)  3 Li 2.48-2.70, 1 Ge 2.67
Li (0.1294, 0.7639, 0.6127)  5 Ge 2.68-2.89, 3 Li 2.92-2.97
Li (0.5084, 0.4738, 0.3744)  3 Li 2.60-2.80, 4 Ge 2.66-2.87
Li (0.1214, 0.6593, 0.1650)  4 Ge 2.63-2.92, 2 Li 2.65-2.92
Li (0.1279, 0.7427, 0.4686)  5 Li 2.83-2.96, 8 Ge 2.93-3.12
Li (0.6612, 0.0055, 0.1131)  3 Ge 2.64-2.80, 3 Li 2.65-2.89
Li (0.6262, 0.6403, 0.1461)  5 Li 2.68-2.98, 5 Ge 2.73-2.87
Li (0.1214, 0.6593, 0.3350)  4 Ge 2.63-2.92, 2 Li 2.65-2.92
Li (0.6319, 0.5679, 0.5046)  5 Ge 2.74-2.85, 5 Li 2.80-3.06
Li (0.3738, 0.3597, 0.8539)  5 Li 2.68-2.98, 5 Ge 2.73-2.87
Li (0.1110, 0.3441, 0.3133)  3 Li 2.55-2.70, 2 Ge 2.69-2.79
Li (0.6319, 0.5679, 0.9954)  5 Ge 2.74-2.85, 5 Li 2.80-3.06
Li (0.8786, 0.3407, 0.6650)  4 Ge 2.63-2.92, 2 Li 2.65-2.92
Li (0.4916, 0.5262, 0.6256)  3 Li 2.60-2.80, 4 Ge 2.66-2.87
Li (0.6294, 0.7361, 0.8873)  5 Ge 2.68-2.89, 3 Li 2.92-2.97
Li (0.3890, 0.8441, 0.8133)  3 Li 2.55-2.70, 2 Ge 2.69-2.79
Li (0.6214, 0.8407, 0.3350)  4 Ge 2.63-2.92, 2 Li 2.65-2.92
Li (0.9916, 0.9738, 0.8744)  3 Li 2.60-2.80, 4 Ge 2.66-2.87
Li (0.8388, 0.5055, 0.8869)  3 Ge 2.64-2.80, 3 Li 2.65-2.89
*/
No. 1
A relaxed structure of Li12Ge7, computed with PBE-GGA.

Computed properties:
space group: Pnma
energy: -3.229 eV/atom
theoretical density: 3.0 g/cm3
formation energy from the elements: -320 meV per atom
total magnetic moment: 0.000 μB/atom

abc: 8.8076 14.6537 20.1294
angles: 90.00 90.00 90.00
Closest atoms and distances in Å follow each position.
Positions (direct):
Li (0.3632, 0.0224, 0.3278)  3 Ge 2.67-2.89, 4 Li 2.86-2.99
Li (0.8681, 0.0679, 0.0046)  5 Ge 2.74-2.85, 5 Li 2.80-3.06
Li (0.6612, 0.0055, 0.3869)  3 Ge 2.64-2.80, 3 Li 2.65-2.89
Li (0.6376, 0.3392, 0.1883)  3 Li 2.48-2.70, 1 Ge 2.67
Li (0.6142, 0.3697, 0.7500)  5 Ge 2.73-2.95, 5 Li 2.92-2.98
Li (0.6368, 0.9776, 0.6722)  3 Ge 2.67-2.89, 4 Li 2.86-2.99
Li (0.1376, 0.1608, 0.1883)  3 Li 2.48-2.70, 1 Ge 2.67
Li (0.0084, 0.0262, 0.3744)  3 Li 2.60-2.80, 4 Ge 2.66-2.87
Li (0.6214, 0.8407, 0.1650)  4 Ge 2.63-2.92, 2 Li 2.65-2.92
Li (0.1319, 0.9321, 0.5046)  5 Ge 2.74-2.85, 5 Li 2.80-3.06
Li (0.8706, 0.2361, 0.1127)  5 Ge 2.68-2.89, 3 Li 2.92-2.97
Li (0.8890, 0.6559, 0.6867)  3 Li 2.55-2.70, 2 Ge 2.69-2.79
Li (0.8624, 0.8392, 0.6883)  3 Li 2.48-2.70, 1 Ge 2.67
Li (0.1110, 0.3441, 0.1867)  3 Li 2.55-2.70, 2 Ge 2.69-2.79
Li (0.3681, 0.4321, 0.4954)  5 Ge 2.74-2.85, 5 Li 2.80-3.06
Li (0.3388, 0.9945, 0.6131)  3 Ge 2.64-2.80, 3 Li 2.65-2.89
Li (0.6294, 0.7361, 0.6127)  5 Ge 2.68-2.89, 3 Li 2.92-2.97
Li (0.1376, 0.1608, 0.3117)  3 Li 2.48-2.70, 1 Ge 2.67
Li (0.6294, 0.9330, 0.9727)  5 Ge 2.65-2.89, 2 Li 2.83-2.96
Li (0.8738, 0.1403, 0.6461)  5 Li 2.68-2.98, 5 Ge 2.73-2.87
Li (0.8721, 0.2573, 0.5314)  5 Li 2.83-2.96, 8 Ge 2.93-3.12
Li (0.3738, 0.3597, 0.6461)  5 Li 2.68-2.98, 5 Ge 2.73-2.87
Li (0.8706, 0.4330, 0.4727)  5 Ge 2.65-2.89, 2 Li 2.83-2.96
Li (0.1368, 0.5224, 0.8278)  3 Ge 2.67-2.89, 4 Li 2.86-2.99
Li (0.3632, 0.0224, 0.1722)  3 Ge 2.67-2.89, 4 Li 2.86-2.99
Li (0.8624, 0.8392, 0.8117)  3 Li 2.48-2.70, 1 Ge 2.67
Li (0.3706, 0.0670, 0.0273)  5 Ge 2.65-2.89, 2 Li 2.83-2.96
Li (0.3858, 0.6303, 0.2500)  5 Ge 2.73-2.95, 5 Li 2.92-2.98
Li (0.8632, 0.4776, 0.3278)  3 Ge 2.67-2.89, 4 Li 2.86-2.99
Li (0.1319, 0.9321, 0.9954)  5 Ge 2.74-2.85, 5 Li 2.80-3.06
Li (0.8890, 0.6559, 0.8133)  3 Li 2.55-2.70, 2 Ge 2.69-2.79
Li (0.3624, 0.6608, 0.8117)  3 Li 2.48-2.70, 1 Ge 2.67
Li (0.8858, 0.8697, 0.2500)  5 Ge 2.73-2.95, 5 Li 2.92-2.98
Li (0.6110, 0.1559, 0.1867)  3 Li 2.55-2.70, 2 Ge 2.69-2.79
Li (0.3721, 0.2427, 0.5314)  5 Li 2.83-2.96, 8 Ge 2.93-3.12
Li (0.6615, 0.1687, 0.7500)  2 Ge 2.62, 2 Li 2.84
Li (0.1368, 0.5224, 0.6722)  3 Ge 2.67-2.89, 4 Li 2.86-2.99
Li (0.3706, 0.0670, 0.4727)  5 Ge 2.65-2.89, 2 Li 2.83-2.96
Li (0.6262, 0.6403, 0.3539)  5 Li 2.68-2.98, 5 Ge 2.73-2.87
Li (0.8706, 0.2361, 0.3873)  5 Ge 2.68-2.89, 3 Li 2.92-2.97
Li (0.8385, 0.6687, 0.2500)  2 Ge 2.62, 2 Li 2.84
Li (0.1262, 0.8597, 0.1461)  5 Li 2.68-2.98, 5 Ge 2.73-2.87
Li (0.3624, 0.6608, 0.6883)  3 Li 2.48-2.70, 1 Ge 2.67
Li (0.1294, 0.7639, 0.6127)  5 Ge 2.68-2.89, 3 Li 2.92-2.97
Li (0.5084, 0.4738, 0.3744)  3 Li 2.60-2.80, 4 Ge 2.66-2.87
Li (0.1214, 0.6593, 0.1650)  4 Ge 2.63-2.92, 2 Li 2.65-2.92
Li (0.1279, 0.7427, 0.4686)  5 Li 2.83-2.96, 8 Ge 2.93-3.12
Li (0.6612, 0.0055, 0.1131)  3 Ge 2.64-2.80, 3 Li 2.65-2.89
Li (0.6262, 0.6403, 0.1461)  5 Li 2.68-2.98, 5 Ge 2.73-2.87
Li (0.1214, 0.6593, 0.3350)  4 Ge 2.63-2.92, 2 Li 2.65-2.92
Li (0.6319, 0.5679, 0.5046)  5 Ge 2.74-2.85, 5 Li 2.80-3.06
Li (0.3738, 0.3597, 0.8539)  5 Li 2.68-2.98, 5 Ge 2.73-2.87
Li (0.1110, 0.3441, 0.3133)  3 Li 2.55-2.70, 2 Ge 2.69-2.79
Li (0.6319, 0.5679, 0.9954)  5 Ge 2.74-2.85, 5 Li 2.80-3.06
Li (0.8786, 0.3407, 0.6650)  4 Ge 2.63-2.92, 2 Li 2.65-2.92
Li (0.4916, 0.5262, 0.6256)  3 Li 2.60-2.80, 4 Ge 2.66-2.87
Li (0.6294, 0.7361, 0.8873)  5 Ge 2.68-2.89, 3 Li 2.92-2.97
Li (0.3890, 0.8441, 0.8133)  3 Li 2.55-2.70, 2 Ge 2.69-2.79
Li (0.6214, 0.8407, 0.3350)  4 Ge 2.63-2.92, 2 Li 2.65-2.92
Li (0.9916, 0.9738, 0.8744)  3 Li 2.60-2.80, 4 Ge 2.66-2.87
Li (0.8388, 0.5055, 0.8869)  3 Ge 2.64-2.80, 3 Li 2.65-2.89